Cloe's Garden
Intern Profile
I want to work at the garden because: I enjoy working with others, and I like to stay engaged in activities that will help benefit me, and others around me.
Two of my personal goals for working at the Dallas Youth Garden this summer are: To learn more teamwork skills, and to do experiments to see how certain plants react to being around each other.
Two things I hope to learn for working at the Dallas Youth Garden are: To get a better understanding of how to take care of plants in general, and to be able to understand how to plant them, and how certain aspects affect them directly.
I think my biggest challenge will be: Most likely weeding, I feel as though I may accidently pull out my plants.
My favorite vegetable or fruit is:
Watermelon is my favorited fruit.
**Crystal structures from another source follow:**
........
This entry pairs a crystal structure of Na3Hg2 with its calculated X-ray diffraction stick pattern. Radiation: CuKα. Structure: a GGA-PBE-relaxed structure.
Lines closer than 0.1° are merged.

Top 10 peaks for 5 to 70 degrees two-theta, sorted by position:
| h k l | Position (°2θ) | d_spacing | intensity |
| --- | --- | --- | --- |
| 1 1 0 | 13.8 | 6.412 | 66 |
| 2 1 0 | 21.9 | 4.055 | 100 |
| 0 0 2 | 25.2 | 3.535 | 22 |
| 1 1 2 | 28.8 | 3.096 | 25 |
| 3 1 0 | 31.2 | 2.867 | 44 |
| 2 1 2 | 33.6 | 2.664 | 96 |
| 3 2 0 | 35.7 | 2.515 | 28 |
| 4 0 0 | 39.8 | 2.267 | 27 |
| 3 2 2 | 44.2 | 2.049 | 27 |
| 4 0 2 | 47.7 | 1.908 | 25 |

Structural model:
Cell: 9.0677 9.0677 7.0698 Å, 90.00 90.00 90.00°
Space group P4_2/mnm (No. 136)
Symmetry-distinct sites (fractional):
Na (0.0000, 0.5000, 0.0000) (multiplicity 4)
Na (0.1423, 0.1423, 0.0000) (multiplicity 4)
Na (0.1828, 0.1828, 0.5000) (multiplicity 4)
........
**Here the text continues:**
I think a leader is: A person who is responsible, reliable, trustworthy, and will be willing to take initiative.
I hope to contribute this leadership skill to the garden this season: By trying new experiments in the garden, and helping out as often as possible.
Garden Plan:
Rows of vegetables planted: Marigolds, tomatoes, carrots, lettuce, radish, cucumber, sunflower, zucchini, basil, squash, zinnia, tomato, pepper, cabbage, chard swiss, kale, and sunflowers with marigolds.
Number of different kinds of vegetables planted: 16
Planned Garden Yield:
My garden did or did/not match my plan and why: Part of it didn't, because half way through I wanted to change my experiment plant from a vegetable to a flower.
Garden Log:
May 4: Started work and removed tarps
May 7-11: We talked about our garden plans, and we made out garden plans. We also helped clean up the chairs at the garden sale on Saturday.
May 14-18: We started planting our gardens, going according to the garden plans.
May 21-25: We continued to plant our gardens, we watered them, and even started to weed them.
May 28-June 1: We are wrapping up our gardens, and starting to do the walkways with bark chips.
June 3-8: We have finished our gardens completely, and are watering them, and weeding them.
June 10-15: Continue to weed, water, and pick off flowers from the tomatoes and squash.
June 17-22: Still continuing to weed and water, we also put a mixture of water and fish fertilizer on our cucumbers, and squash.
June 24-29: We are rapping up our leadership projects, and we continue to water as usual, but a few times we have done group weeding.
July 2-6: We continued to weed and water, but started picking plants such as cabbage, and radish.
July 8-13: We continued to weed and water, but also started picking plants like chard swiss, kale, squash, and continued on cabbage.
July 15-20: Still weeding and watering, my tomatoes started growing, and we continued to pick the plants we picked last week.
July 22-27: I completely weeded out as much as I could for open house, and we watering, then open house.
July 30- August 3: We weeded and watered, and did some picking. We also chose the plants we were going to show off at the contest.
August 6-10: We picked regularly and also picked things for fair, watered, and we weeded the best we could with the given amount of time.
August 13-17: Just regular watering and weeding, and we continue to pick our regular plants, some people are even picking peppers and cucumbers.
August 19-24: Still picking and watering regularly, we have done some minions, and some people are picking their tomatoes now.
Leadership Project:
Problem: Which one is better, growing plants in a garden or in some place like a windowsill?
Solution: Research, and use my own experience to find out.
Test/Activity: Slide show
Results: Depending on what lifestyle you lead, and what the wanted results are.
Communication: I had to ask, watch videos, read articles, and examine my garden, and my windowsill garden.
Leadership Skills: I had to ask whether I could do this particular project, since it was not listed, and I had to take initiative and do my fair share of research.
Leadership Project 2:
Problem: We learned about how Sunflowers help reduce pests such as bugs, and I wanted to put that to the test.
Solution: Look at the leafs of both my squash plants, and also document how much many bugs there are on them
Test/Activity: Google Doc
Results: It seems that in fact the squash closer to the sunflowers has less bugs.
Communication: I had to ask about the project and take pictures and videos.
Leadership Skills: I chose a project that I didn't hear anyone talk about, or do. Therefore, I had to ask permission, and take initiative.
Leadership Project 3:
Problem: Tomato rot.
Solution: Continue to watch results, and maybe water less, and possibly add calcium after watching the results.
Test/Activity: Google Doc
Results: No big change in tomato rot.
Communication: I had to ask what I was doing wrong, put that into consideration and change my mistake.
Leadership Skills: I had to figure this out from my own experience, and put the initiative in to continue researching it.